Tag Archives: beer politics

Blogging the Drinking Age Debate

danah “zephoria” boyd is blogging about the conversation over drinking age in the United States.

apophenia: Dionysus and the Amethyst Initiative.

As boyd is relatively well-known, her blogging about this can have interesting effects in terms of generating “buzz.”

Her blogging the issue might help me as I follow my previous post up with some further comments. But that’ll have to wait. RERO!

What follows is my answer to boyd’s post, since trackbacks can be more powerful than blog comments.

You might enjoy IU researcher Ruth Engs‘s work on the topic.

A few concepts/expressions which could be useful in your future coverage…

  • “Moral entrepreneurs” (Howie Becker’s concept)
  • “Forbidden Fruit” (or cookie jar, but forbidden fruit works better for keyword searches, I think)
  • “Responsible Drinking” (a taboo expression in alcohol research in the United States but the concept which runs at the core of Amethyst)

Finally! A Drinking Age Debate

This may be more significant than people seem to assume: university and college administrators in the United States are discussing the potential effects of reverting the drinking age back to the age of maturity in their country (18 years-old). This Amethyst Initiative (blog), which was launched last month, may represent a turning point in not only alcohol policy but campus life in the United States.

This “story” has started to go around recently. And it happens to be one I care about. Read about this on Tuesday, while doing some random browsing.

College presidents seek drinking age debate – Life- msnbc.com.

# Attached: records of crystals
First-principles (PBE) data for Sr2ZrAu after structural relaxation, as listed in Alexandria.

Output
Energy above the most stable polymorph in this dataset: 0.477 eV/f.u.
Magnetization: 0.00 μB per atom
DFT total energy: -15.15 eV per cell
Symmetry: P4/mmm (123)
Formation energy from the elements: 0.0092 eV per atom
Volume: 30.8 Å³ per atom
N(E_F): 1.200 states/eV/atom

Cell and atoms, written as CIF:
```
data_Sr2ZrAu
_chemical_formula_sum 'Sr2 Zr1 Au1'
_symmetry_space_group_name_H-M 'P 1'
_symmetry_Int_Tables_number 1
_cell_length_a 3.575
_cell_length_b 3.575
_cell_length_c 9.637
_cell_angle_alpha 90.00
_cell_angle_beta 90.00
_cell_angle_gamma 90.00
loop_
_symmetry_equiv_pos_as_xyz
'x,y,z'
loop_
_atom_site_label
_atom_site_type_symbol
_atom_site_fract_x
_atom_site_fract_y
_atom_site_fract_z
_atom_site_occupancy
Sr1 Sr 0.000 0.000 0.219 1
Sr2 Sr 0.000 0.000 0.781 1
Zr1 Zr 0.500 0.500 0.500 1
Au1 Au 0.500 0.500 0.000 1
```

=====

(1)
# PBE Ti2AgPd6, relaxed
# Spin magnetization in μB per cell: 0.00
# Distance to the lowest polymorph of the same formula in eV per atom: 0.123
data_Ti2AgPd6
_cell_length_a 14.075
_cell_length_b 7.554
_cell_length_c 2.807
_cell_angle_alpha 90.00
_cell_angle_beta 101.28
_cell_angle_gamma 90.00
_symmetry_space_group_name_H-M 'C 1 2/m 1'
_symmetry_Int_Tables_number 12
_symmetry_space_group_name_Hall '-C 2y'
loop_
_atom_site_label
_atom_site_type_symbol
_atom_site_fract_x
_atom_site_fract_y
_atom_site_fract_z
_atom_site_occupancy
Ti1 Ti 0.164 0.000 0.163 1
Ag1 Ag 0.000 0.500 0.500 1
Pd1 Pd 0.000 0.179 0.000 1
Pd2 Pd 0.169 0.307 0.669 1

=====

(2)
# PBE TiAgPd2, relaxed
# Spin magnetization in μB per cell: 0.00
# Distance to the lowest polymorph of the same formula in eV per atom: 0.080
data_TiAgPd2
_cell_length_a 2.8814
_cell_length_b 2.8814
_cell_length_c 27.0736
_cell_angle_alpha 90.00
_cell_angle_beta 90.00
_cell_angle_gamma 120.00
_symmetry_space_group_name_H-M 'R -3 m'
_symmetry_Int_Tables_number 166
_symmetry_space_group_name_Hall '-R 3 2"'
loop_
_atom_site_label
_atom_site_type_symbol
_atom_site_fract_x
_atom_site_fract_y
_atom_site_fract_z
_atom_site_occupancy
Ti1 Ti 0.0000 0.0000 0.0000 1
Ag1 Ag 0.0000 0.0000 0.5000 1
Pd1 Pd 0.0000 0.0000 0.2557 1

=====

(3)
# PBE Ti3AgPd6, relaxed
# Total DFT energy (no corrections) in eV/atom: -6.10
# Spin magnetization in μB per cell: 0.00
data_Ti3AgPd6
_cell_length_a 9.633
_cell_length_b 13.353
_cell_length_c 5.088
_cell_angle_alpha 90.00
_cell_angle_beta 90.00
_cell_angle_gamma 90.00
_symmetry_space_group_name_H-M 'C m c 21'
_symmetry_Int_Tables_number 36
_symmetry_space_group_name_Hall 'C 2c -2'
loop_
_atom_site_label
_atom_site_type_symbol
_atom_site_fract_x
_atom_site_fract_y
_atom_site_fract_z
_atom_site_occupancy
Ti1 Ti 0.000 0.120 0.000 1
Ti2 Ti 0.186 0.401 0.334 1
Ag1 Ag 0.000 0.319 0.999 1
Pd1 Pd 0.000 0.234 0.499 1
Pd2 Pd 0.000 0.465 0.659 1
Pd3 Pd 0.143 0.045 0.479 1
Pd4 Pd 0.243 0.209 0.221 1

=====

(4)
# PBE TiAg2Pd, relaxed

And it’s coming back as a source of jokes:

College Presidents Rethinking Drinking Age | The Onion – America’s Finest News Source.

Though I may be a big fan of humour, I really hope that people can also take this issue seriously. For some reason, people in the United States tend to react to alcohol-related discussions with (possibly uneasy) humour. Fair enough, but there’s clearly a need for dispassionate, thoughtful, and serious discussion about the effects of current laws or the potential effects of new laws.

I have a lot of things to say about the issue but I’lll try to RERO it.

Now, obviously, the media coverage is typical “wedge issue” journalism. Which might well be working. In a way, I don’t care so much about the outcome of this journalistic coverage.

What I do care about, though, is that people may start discussing the social implications of alcohol prohibitions. It’s a much larger issue than the legal drinking age in the United States. I sincerely hope that it will be addressed, thanks in part to these administrators at well-known academic institutions.

Possibly the best person to talk about this is Indiana University’s Ruth Engs, professor of Applied Health Science. Engs has written extensively on the health effects of alcohol, with a special emphasis on the negative effects of the raised legal drinking age in the United States. She also has fascinating things to say about cultural dimensions of alcohol consumption, which happens to be a topic that I have been exploring on my own.

According to Engs, discussion of responsible drinking are quite rare in public events related to alcohol research in the United States. I personally get the impression that responsible drinking has become a taboo subject in those contexts. I certainly noticed this while living (as full-time faculty) on a “dry campus.”

It’s no secret that I care about responsible drinking. Part of this might have to do with the Éduc’alcool message which has been engrained in Quebeckers over the years: «la modération a bien meilleur goût» (“responsible drinking is more tasteful”). My strong impression is that at least some of those who wish for the drinking age in the United States to remain high share the opinion that, for adults, responsible drinking is more appropriate than binge drinking. They may think that any type of alcohol consumption has negative effects, but it’d be quite surprising if they actually preferred binge drinking over responsible drinking.

Where we seem to disagree is on the most effective strategies to reach the goal of responsible drinking among adults. IMHO, there is at the very least strong anecdotal evidence to show that increasing legal drinking age does very little to encourage responsible drinking. Unfortunately, with issues such as these, there’s a strong tendency for advocates of any position to dig for data supporting their claims. Stephen Jay Gould called this “advocacy masquerading as objectivity.” I may care strongly about the issue but I’m not really taking sides. After all, we’re talking about a country in which I’ve lived but in which I don’t have citizenship.

Let’s call a spade a “spade.” What’s at stake here is the National Minimum Drinking Age Act of 1984, which was pushed by the MADD lobby group (Mothers Against Drunk Driving). With all due respect to people involved in MADD and similar anti-alcohol advocacy groups, I have strong reservations as to some of their actions.

As a group, MADD is a “textbook example” of what sociologist Howard Becker has called “moral entrepreneurs.” In the United States, these moral entrepreneurs seem to be linked to what Ruth Engs calls clean living movements. What’s funny is that, though these movements may be linked to puritanism, Puritans themselves did use alcohol in their diet. So much so that the Mayflower landed in Plymouth Rock partly because of beer.

There’s a lot to say about this. From diverse perspectives. For instance, libertarians surely have interesting points about the NMDAA’s effects on state laws. Health researchers may talk about the difficulty of alcoholism prevention when responsible drinking is left undiscussed. Teetotalers and Muslims may see this as an opportunity to encourage complete abstinence from drinking. Road safety specialists may have important points to make about diverse ways to prevent drunk driving. Law researchers may warn us about the dangers to the legal system inherent to laws which are systematically broken by the majority of the population. Border officers may have some interesting data as to the “alcohol tourism” related to college drinking. University and college students clearly have diverse approaches to the subject, contrary to what the media coverage (especially the visuals used) seem to indicate.

My own perspective is quite specific. As a very responsible drinker. As a Quebecker of recent European origin. As a compulsive pedestrian. As an ethnographer interested in craft beer culture in North America. As a homebrewer. And, more importantly, as a university instructor who, like Barrett Seaman, has noticed widely different situations on university campuses in the United States and Canada.

Simply put, it seems quite likely that widespread binge drinking on university campuses has originated on U.S. campuses since 1984 and that the trend is currently spilling over to affect some campuses outside of the United States. College binge drinking is not a global problem. Nor is it a problem entirely specific to the United States. But the influence of U.S. college and university campus culture in other parts of the world often comes with binge drinking.

Apart from the fact that I find binge drinking to be extremely detrimental to physical and mental health, my observation is about campus life in general. AFAICT, on university and college campuses where alcohol consumption by a significant proportion of the student population is illegal, illicit alcohol consumption pushes younger students outside of the broader campus life. This self-segregation makes for a very uncomfortable learning and teaching context. In other words, the fact that students hide in fraternity houses or off-campus locations to binge drink may have the same socialization effects as regular campus life elsewhere on the planet, but the isolation of these people is a net loss in terms of generating an academic environment which is nurturing and tolerant.

To be clear: I’m not saying that the legal drinking age in the United States needs, of necessity,  be brought back to 18 years-old as it was in several States until fairly recently. I’m not even saying that States should necessarily be allowed to set their own drinking age laws. I simply wish for this debate on legal drinking age to happen. Actually, I hope that there will be real, thoughtful dialogue on the issue.

Really, it’s the tasteful thing to do.

Individualism, Freedom, and Food

A surprisingly superficial podcast episode on what could have been a very deep subject.

Open Source » Blog Archive » The End of Free Will?

start a conversation about manipulation, persuasion and freedom from choice

To summarize the main issue of that episode: is marketing and "upselling" by restaurant chains undermining the individual freedom to choose quality food? Apparently simple a question, but billed as much more than that.

Maybe they refrained from delving deeper into any of those issues because philosophical discussions, perhaps aesthetic ones especially, are off limits in "polite company" in U.S. media. Too bad.

Actually, I’m genuinely disappointed. Not necessarily because restaurant chains are very important an issue for me (in Montreal, they don’t seem to have the exact same type of impact and I love to cook). But because the show’s participants all came very close to saying very important things about individualism, food, and freedom. The first two are too rarely discussed, IMHO, and the third could have been the "hook" to discuss the other two.

Ah, well…

If you want to know more about my thoughts on this podcast episode, check out some of the tags below.

(US) National Homebrew Day

National Homebrew Day

In 1979, the American Homebrewers Association originally claimed National Homebrew Day to be the first Saturday in May. On May 7, 1988, Congress officially recognized National Homebrew Day. Homebrewers around the world use the day to celebrate beer and brewing and attract attention to their hobby.

No idea Congress had recognized it. Wasn't 1987 the year homebrewing was made legal again?

Beer and "Ethnicity"

[Ugh! I lost a first version of this post because of Blogger maintenance… Now I know why people complain…]

The very first comment on my young blog is an extensive excerpt from Bob Skilnik's book on beer history. Thanks!
The relationship between beer and "ethnicity" is really a fascinating issue. Some say that the movement leading to the federal prohibition was related to anti-German sentiment. Others associate it more closely with the growth in the political influence of some woman groups. The events were probably a combination of both and other causes. Similarly, the MADD lobby group probably had a large part to play in rising the drinking age to 21.

All of these seem to relate to what Ruth C. Engs calls Clean Living Movements. Engs also has interesting articles available on health, alcohol, and social issues. For instance, binge drinking is a major problem on some US campuses and seems to be linked to a negative attitude toward alcohol.

One concept that I'd like to explore a bit more is that of "moral entrepreneurs" who seem to be at the center of those movements and are trying to get ahead politically. The first exposure I got to the concept was in Mezz Mezzrow's Really the Blues. In that book (on Jazz musicians in the US between the two World Wars), moral entrepreneurs are associated to the change in legal status for cannabis in 1937. A Wikipedia article on cannabis associates the criminalisation of the herb to both DuPont's interest in plastic and to anti-Mexican sentiment (with the word "marihuana" resonating with that sentiment). No idea how accurate this explanation really is (it's always safer to take things with a grain of salt) but the associate with xenophobia is illuminating.

Not that the US are the only place where sentiments against foreigners
are brought forth. In fact, many parts of the world deal with issues of
xenophobia, especially where the notion of a "nation-state" is still
believed to mean something. What's interesting about the situation in
the US is the fact that xenophobia seems to be so intimately linked
with political, legal, and social issues. In a "country of immigrants"
which recognizes itself as such, the situation is quite striking.